A long-awaited preliminary assessment from the Unidentified Aerial Phenomena Task Force was published yesterday by the Director of National Intelligence. The nine-page document was limited in detail, but appeared to be at odds with expectations that the report would eliminate U.S. classified programs as an explanation of some sightings. The underlying conclusion was one of uncertainty and a still-nascent effort to respond to the UAP issue.
# Here the text breaks off for quantum chemistry results
-- begin --
Record 1
Here is C4H5NdO2 as an isolated structure from the OMol25 dataset. Energies are from the ωB97M-V functional and the def2-TZVPD basis.

Each line ends with the Löwdin charge.
Atoms and positions in Å:
C: 1.257 3.306 -0.056  -0.15
C: -0.063 2.650 0.266  0.10
C: -0.223 1.405 0.581  0.27
C: -0.406 0.041 0.771  -0.09
O: -0.821 -0.700 -0.157  -0.05
Nd: -2.376 -2.936 -0.668  1.97
H: 1.864 3.407 0.856  0.19
H: 1.031 4.317 -0.436  0.16
H: -0.852 3.265 0.770  0.22
H: -0.147 -0.392 1.748  0.17
O: 1.893 2.515 -1.027  0.06
H: 2.619 3.014 -1.415  0.14

Calculated values
LUMO energy (spin up / spin down) (eV): -15.60 / -15.03
ΔE to the lowest compared entry with this formula, charge and spin (kcal/mol): 65.00
Orbital gap (spin up / spin down) (eV): 5.09 / 6.47
Net charge: +3
Highest occupied orbital energy (spin up / spin down) (eV): -20.688 / -21.507
Multiplicity: 5
Expectation value of S²: 6.164



Record 2
Here is C4H5NdO2 as an isolated structure from the OMol25 dataset. Energies are from the ωB97M-V functional and the def2-TZVPD basis.

Each line ends with the Löwdin charge.
Atoms and positions in Å:
H: 0.207 0.657 2.178  0.20
C: -0.230 0.587 1.040  0.05
C: 0.871 1.296 0.756  -0.27
O: 1.900 1.442 0.188  -0.04
Nd: 4.024 3.205 -0.360  1.96
H: -1.196 1.091 0.957  0.12
O: -1.313 -0.823 -2.142  0.33
C: -1.019 -1.110 -0.990  -0.05
C: -0.753 -1.911 0.009  0.19
H: -1.195 0.120 -2.395  0.21
H: 0.277 -2.266 0.131  0.15
H: -1.573 -2.286 0.628  0.16

Calculated values
LUMO energy (spin up / spin down) (eV): -12.43 / -12.29
ΔE to the lowest compared entry with this formula, charge and spin (kcal/mol): 106.11
-- stop --
The report defined “UAP” in an appendix as “airborne objects [that are] not immediately identifiable.” Given the broad definition, it is unsurprising that the analytic framework of the report focused on multiple possible explanations of UAP sightings. The report enumerated the following possibilities:
- Airborne clutter: objects including birds, balloons, recreational drones or even plastic bags
- Natural atmospheric weather phenomena like ice crystals or thermal fluctuations that can interfere with some sensor systems
- Assets operated by U.S. entities
- Foreign adversary systems
- All other explanations
### Inserted here: data records
+++
Entry 1:
ORCA calculation (ωB97M-V/def2-TZVPD) on a 2-piece molecular cluster, C26H45BrClF3N4O6P3S3 overall at a distorted geometry.

```
! RIJCOSX wB97M-V def2-TZVPD def2/J DEFGRID3
* xyz 1 1
C 5.5045 0.8698 3.8790
C 4.5296 1.7867 2.8767
S 2.7700 1.2950 3.2874
C 1.6566 1.3921 1.7365
N 1.4561 -0.0178 1.2174
Cl 2.7200 -1.1310 1.7361
C 0.4451 -0.4585 0.3914
N 0.2047 -1.8351 -0.1239
C 0.0695 -2.9426 0.7890
P 1.2158 -4.4353 0.2812
O 1.0425 -5.5063 1.4665
O 2.9019 -4.0027 0.1902
O 0.7108 -5.2170 -1.1926
C -0.2502 -1.9228 -1.5566
C -1.7163 -2.5709 -1.5833
Br -2.5505 -3.1961 -3.3407
C -2.8588 -1.9339 -0.5369
C -3.8563 -3.2237 -0.1433
C 0.1423 -0.5283 -2.4062
P -0.6443 -0.5208 -4.1290
O -0.2664 0.4956 -5.2171
C 1.8075 -0.5653 -2.7084
C 2.5700 0.3316 -3.8045
C 4.1977 0.2785 -4.1303
C 4.7904 -0.8404 -3.1125
C 3.9642 -1.6352 -2.0322
N 2.5403 -1.5059 -1.8332
C -0.3213 0.8604 -1.5832
C 0.9012 2.0060 -1.4764
C 0.9750 3.0678 -2.7026
C 2.5279 3.6819 -2.7944
C 2.6757 4.8069 -1.6119
O 1.8818 6.0281 -1.8201
P -1.6825 1.8971 -2.4113
S -3.5092 1.3481 -2.3115
N -0.5255 0.5400 -0.1456
C -1.6166 1.0102 0.6489
C -1.7531 2.6333 0.9924
C -2.4961 2.7145 2.4905
F -1.6838 2.6780 3.7350
C -3.9938 2.8722 2.5094
F -4.8975 1.7944 3.0312
F -4.5248 4.1802 1.9898
H 4.9189 0.6861 4.8979
H 5.6965 -0.1897 3.4172
H 6.5007 1.4447 4.1506
H 4.8272 1.6848 1.7462
H 4.6872 2.9053 3.2616
H 0.6280 1.7750 2.1381
H 2.2131 2.1176 1.0095
H 0.3599 -2.6343 1.9061
H -1.0010 -3.4523 0.9340
H 3.3090 -4.4300 1.0235
H 1.5002 -5.6720 -1.6443
H 0.3699 -2.7750 -2.1297
H -1.5912 -3.6911 -1.1419
H -2.3744 -1.6336 0.4794
H -3.5710 -1.1656 -1.0267
H -4.7024 -3.3930 -0.9352
H -4.4126 -2.8577 0.8486
H -3.2613 -4.1821 0.1633
H -0.3497 -1.8468 -4.6988
H -2.1119 -0.4409 -4.0460
H 2.0242 1.1382 -4.4573
H 4.7565 0.9198 -4.9249
H 5.9487 -1.0613 -3.2053
H 4.5435 -2.4022 -1.3263
H 0.5345 2.6937 -0.5638
H 1.9142 1.5840 -1.0801
H 0.6996 2.6928 -3.7654
H 0.2949 4.0190 -2.4708
H 2.5933 4.2712 -3.8219
H 3.3424 2.8243 -2.7236
H 2.3290 4.3366 -0.5713
H 3.8113 5.1412 -1.5030
H 1.4065 6.0315 -2.7019
H -1.6345 3.2038 -1.7268
H -1.4387 2.2693 -3.8004
H -1.5094 0.5282 1.7423
H -2.7299 0.6931 0.3496
H -0.7249 3.1700 1.1420
H -2.4977 3.1963 0.2696
C -4.6335 -3.3322 5.2760
S -6.0530 -2.4672 4.5629
O -6.3299 -3.0830 3.2231
C -5.1917 -0.9025 4.2744
H -4.9304 -4.3589 5.5029
H -3.8059 -3.3442 4.5629
H -4.3273 -2.8330 6.1983
H -4.3297 -1.0651 3.6233
H -4.8674 -0.4833 5.2295
H -5.8841 -0.2086 3.7918
*
```

max |F| = 7.9 eV/A
electronic energy = -7239.54779 hartree
HOMO-LUMO gap = 6.06 eV
highest occupied orbital energy = -10.66 eV

Entry 2:
ORCA calculation (ωB97M-V/def2-TZVPD) on the molecule C7H9BrN2 at a distorted geometry.

```
! RIJCOSX wB97M-V def2-TZVPD def2/J DEFGRID3
* xyz 0 1
N 0.9655 -2.1890 0.5879
N 1.6003 -1.6822 -0.6220
C 1.5396 -0.3394 -0.7536
Br 3.2564 0.5565 0.2176
C 0.2759 0.2976 -0.3137
C -0.8413 0.0794 -1.1375
C -2.0254 0.6537 -0.7498
C -2.3197 1.2693 0.4957
C -1.1739 1.4201 1.3178
C 0.0926 0.9855 0.9126
+++
The analysis cited 144 reports, 80 of which involved observations based on multiple sensors. The number of reports with multiple sensor systems increased the UAPTF’s confidence that UAP often are “physical objects.” Of the 144 reports, the analysis only mentions one incident that was resolved; it was found to be a large balloon deflating.
In terms of defense equities, the report had very unclear conclusions. With respect to foreign adversary systems, the report claimed, “we currently lack data to indicate any UAP are part of a foreign collection program or indicative of a major technological advancement by a potential adversary.” In regard to U.S. assets, the report also conceded that “we were unable to confirm, however, that these systems accounted for any of the UAP reports we collected.” In fact, the report made no strong conclusions at all, with its apparent aim to promote further investigation and to seek greater resources.
The report emphasized the limitations of the available data, stating “there was wide variability in the reports and the dataset is currently too limited to allow for detailed trend or pattern analysis.” That said, the report did find there is “clustering” of UAP observations around “U.S. training and testing grounds” but cautioned that the pattern may be the result of a collection bias due to the greater number of advanced sensors operating in those areas. The War Zone recently reported nearly two dozen incidents like these recorded by the Federal Aviation Administration, clustered in conspicuous military hotspots off the East Coast and in the Southwest. The East Coast has been a particular nexus of activity dating back at least until 2013, prompting repeated safety concerns by Navy pilots.
There were several curious references in the document. Despite the limited data, the UAPTF claimed it was possible to perform some clustering of data around “shape, size, and particularly, propulsion.” It was unclear what kind of propulsion the report is referencing. Examples might include prop, rotor, lighter than air, jet or some unknown category. In areas like these, the report did not offer specifics.
Further, the authors of the report stated that 18 incidents described in 21 reports involved “unusual UAP movement patterns.” These unusual patterns are not described in detail, but are loosely characterized as involving abrupt maneuvering, remaining stationary against the wind, and moving at considerable speed without “discernible means of propulsion.” Earlier in the report, the UAPTF notes that observations of unusual flight characteristics “could be the result of sensor errors, spoofing, or observer misperception and require additional rigorous analysis.” The report itself again provides no details about the data underlying the 21 reports.
The UAPTF stated that a “small amount of data” supported UAP “demonstrating acceleration or a degree of signature management.” The reference to “signature management” likely refers to some aspect of stealth technology, traditionally having to do with reducing a craft’s radar, infrared, visual, and/or audible signature. However, the report also cautioned that additional analysis would be necessary, including by multiple teams or groups of technical experts. The report states: “we are conducting further analysis to determine if breakthrough technologies were demonstrated.”
Although much of the underlying data appears in doubt, the report asserts one strong conclusion: “UAP threaten flight safety and, possibly, national security.” The report again offered few details, but indicated that 11 incidents involved “near misses with a UAP.” Further, the report acknowledged that there could be a broader danger from espionage against military activities and facilities, or from a potential “breakthrough aerospace technology.”
The UAPTF emphasized the need to standardize and consolidate reporting of incidents in order to deepen the analysis. The report mentions the use of artificial intelligence and machine learning to “cluster and recognize similarities and patterns.”
In terms of data, the report stated that the U.S. Navy has provided the majority of information to date. The United States Air Force, again somewhat absent from the conversation, has apparently begun a six-month pilot program as of November 2020 to collect information in the “most likely areas to encounter UAP.” It is unclear from the report where these areas are, or what intelligence the program is based on if the USAF has not been systematically tracking reports until recently. The Air Force has been notably tight-lipped on anything to do with the UAP issue, even though it is their mission to defend America’s sovereign airspace during peacetime, not the Navy’s. You can read more about this strange situation in this past piece of ours.
'''
Below is the molecule C5H12OS, with properties calculated with the ωB97M-V functional and the def2-TZVPD basis.

Geometry as ORCA input:
```
! RIJCOSX wB97M-V def2-TZVPD def2/J DEFGRID3
* xyz 0 1
C 0.34 1.91 -1.09
O -1.14 2.11 -1.26
C 0.69 1.67 0.38
C -0.43 0.80 1.16
C -0.73 -0.48 0.53
S 0.77 -1.49 0.32
C 0.03 -3.07 -0.16
H 0.76 2.98 -1.52
H 0.46 1.04 -1.80
H -1.35 3.04 -0.86
H 1.80 1.49 0.48
H 0.50 2.70 0.82
H -1.41 1.37 1.03
H -0.12 0.87 2.19
H -1.04 -0.22 -0.58
H -1.75 -0.87 0.92
H -0.27 -3.64 0.71
H -0.87 -3.00 -0.66
H 0.74 -3.64 -0.78
*
```

Computed properties:
HOMO energy = -8.33 eV
Kohn-Sham gap = 9.191 eV
structure (SMILES) = CSCCCCO

Charges obtained by Mulliken population analysis, quoted in units of e: -0.48 -0.55 -0.49 -0.68 -0.48 -0.04 -0.93 0.29 0.26 0.31 0.31 0.33 0.22 0.38 0.24 0.39 0.29 0.33 0.31


Below is a cluster of 2 separate species, C5H12OS in total, with properties calculated with the ωB97M-V functional and the def2-TZVPD basis.

Geometry as ORCA input:
```
! RIJCOSX wB97M-V def2-TZVPD def2/J DEFGRID3
* xyz 0 1
C 1.32 2.33 -0.16
O 1.76 1.33 0.77
C 0.32 1.68 -1.07
C -0.96 2.05 -1.05
H 2.17 2.72 -0.72
H 0.83 3.16 0.37
H 2.59 1.60 1.17
H 0.68 0.87 -1.71
H -1.61 1.78 -1.88
H -1.38 2.54 -0.19
C -1.37 -1.39 0.55
C -0.52 -2.61 0.17
S 0.66 -2.90 1.55
H -0.67 -0.59 0.80
H -2.01 -1.60 1.40
H -2.01 -1.13 -0.29
H -1.13 -3.51 0.09
H 0.00 -2.44 -0.77
H 1.31 -3.90 0.95
*
```

Computed properties:
HOMO energy = -8.79 eV
Kohn-Sham gap = 9.658 eV
structure (SMILES) = C=CCO.CCS

Charges obtained by Mulliken population analysis, quoted in units of e: -0.38 -0.49 -0.08 -0.76 0.29 0.27 0.27 0.34 0.30 0.24 -1.02 -0.40 -0.24 0.21 0.38 0.30 0.35 0.32 0.11


Below is the molecule C5H12OS, with properties calculated with the ωB97M-V functional and the def2-TZVPD basis.

Geometry as ORCA input:
```
! RIJCOSX wB97M-V def2-TZVPD def2/J DEFGRID3
* xyz 0 1
C -1.47 1.37 0.77
C -0.43 0.25 0.53
C -0.80 -1.10 1.20
C -0.43 0.20 -0.97
C 2.40 0.16 -0.95
H -1.20 2.27 0.34
H -1.53 1.38 1.90
H -2.36 0.78 0.45
H 0.53 0.50 0.99
H -0.14 -2.00 0.62
H -1.84 -1.29 0.62
H -1.01 -1.16 2.21
H -1.26 -0.53 -1.09
H -0.62 1.21 -1.39
H 2.53 1.23 -1.46
H 2.22 0.28 0.19
H 3.25 -0.70 -1.06
O 1.21 -2.15 -1.20
S 0.97 -0.70 -1.69
*
```

Computed properties:
HOMO energy = -8.65 eV
Kohn-Sham gap = 9.393 eV

Charges obtained by Mulliken population analysis, quoted in units of e: -1.43 0.09 -1.16 -0.52 -0.80 0.52 0.32 0.32 0.31 0.22 0.26 0.46 0.38 0.40 0.29 0.25 0.34 -0.64 0.39


Below is a cluster of 2 separate species, C5H12OS2 in total, with properties calculated with the ωB97M-V functional and the def2-TZVPD basis.

Geometry as ORCA input:
```
! RIJCOSX wB97M-V def2-TZVPD def2/J DEFGRID3
* xyz 0 1
C -0.43 -0.97 0.17
C 1.23 0.20 1.64
C -1.18 0.89 1.67
C 0.49 0.11 -4.69
C -0.04 0.34 0.82
O 2.27 0.22 -2.88
S 0.24 1.60 -0.51
S 1.98 0.61 -4.27
H -1.34 -0.85 -0.42
H 0.36 -1.32 -0.49
H -0.61 -1.73 0.93
H 1.57 1.16 2.01
H 2.03 -0.24 1.03
H 1.05 -0.46 2.49
H -1.43 0.19 2.46
'''
The FAA also featured prominently as both a collector and manager of data. Again, the UAPTF does not offer detail but mentions that it has “begun receiving data” from the FAA.
As might be expected, given the preliminary nature of the report and the lack of a firmly established center for UAP analysis, it concludes with a request for increased investment. Here, too, details are scarce. Little is mentioned beyond references to an intelligence collection strategy, technical roadmap and a program plan that were not included in the public report.
While the report makes several useful contributions to the public record, such as the number of cases evaluated, it does not offer much indication of a response in proportion to the larger problem.
For example, in March The War Zone reported on a dramatic series of events involving unidentified aircraft apparently harassing Navy vessels off the coast of Southern California. As part of our reporting, we persistently asked public affairs officials in the Navy as well as the Department of Defense three basic questions:
- What happened?
- What is being done about this?
- If something similar happened tomorrow, would the Navy and the Department of Defense be better prepared?
Those officials acknowledged our questions but never answered them.
Applying the same questions to the report is a sobering exercise. By and large, this report tells us that the UAPTF knows relatively little about what has happened in the past. In their words, the dataset is “too limited” to allow for detailed analysis. The UAPTF is similarly uncertain if breakthrough technologies have been observed. It doesn’t know if UAP belong to foreign competitors, and it cannot confirm if U.S. assets explain any of the reports. It has solved one case out of 144.
In terms of what is being done, the answer is an effort to better collect and organize data, including from the FAA. That said, we know from our coverage of incidents reported to the FAA that it does not retain records on many incidents beyond forty-five days. Further, the Naval Air Force Atlantic (AIRLANT), the Navy’s main aviation command on the East Coast, also told us it had no records on many recent incidents of interest.
Why? According to internal communication obtained via FOIA, “there are no current procedures in place to gather and maintain those records on file.” They further stated that “there are no procedures/requirements in place to maintain that data for more than 1 year unless an incident resulting in a hazrep [hazard report] was involved.”
In short, both the Navy and the FAA continue to have short institutional and archival memories, despite repeated claims that the military is amending and improving its reporting practices. Still, with an increased focus on this problem, there is some hope that will change.
Strikingly, the report makes no mention of what should be done about the UAPs that it concedes could potentially be a national security threat. The report offers no potential physical solutions to a problem that, at the very least, somewhat routinely threatens aviation safety. Even in a world where the FAA and the DOD collect better data, presumably pilots and U.S. facilities will be at the same risk until something is done to actually identify and stop aircraft from being where they should not be.
In short, we still don’t know much about what has been happening. There are attempts to gather better information, but details are anything but clear. There is nothing planned in the report that will decrease the possibility of a midair collision or of sensitive intelligence collection on a U.S. facility.
It is difficult to fault the UAPTF itself too strongly for these problems. By many accounts, the entire task force consists of less than three people at any given time. Clearly, the task force did not have extensive access to classified programs, leading to their inability to rule them out in any particular case. Additionally, we have little idea what access the task force had to the best analytical capabilities in the threat intelligence community. The inconclusive nature of the report suggests that access was limited.
It is unsurprising that the issue has attracted the attention of the Department of Defense Office of Inspector General. It is prudent to ask if it makes sense to entrust questions of breakthrough technology, espionage, or potentially lethal and recurrent issues of aviation safety to three people with limited access to classification information.
To be sure, there are several major positive aspects of the report. Despite its lack of detail, it does establish that there are significant defense and safety equities involved in this problem. The clear statement of the problem stands in stark contrast to the lack of data or a larger plan to address that problem. That gap should be an impetus for lawmakers and the Department of Defense to act more decisively. Encouragingly, the Department of Defense has already announced plans to formalize the mission of the UAPTF and enhance its access to information. You can see the Deputy Secretary of Defense’s memo, which was published shortly after the UAP report went public, below:

The statements of the two chairs of the Senate Select Committee on Intelligence have underscored the need to find out more, and to take the issue seriously, as well. Other lawmakers have seemed to of reacted positively to report, as well.
These are very early indicators of what will hopefully be an increasingly sophisticated response to the problem. This should not be taken for granted, and clearly, the UAPTF process has served a function as a focusing mechanism, if nothing else. It has been easy to discount reports of unidentified aircraft as ghost stories. Given the evolution of technology over time, the skies have become more complex due to the proliferation of advanced drone and balloon technologies, as well as a number of other maturing capabilities. Recent stories we have covered involving unidentified aircraft paint a sobering picture.
For example, they involve multiple aircraft hovering over Navy warships. They involve aircraft orbiting active nuclear reactors with spotlights. They involve aircraft coming within 15 feet of an F-35. They involve apparent reconnaissance of strategic anti-missile batteries. Other stories continue to develop, and known incidents now number in the dozens.
One enduring problem is the circus-like atmosphere that still pervades the issue, with decades of attendant baggage. It is difficult to avoid, given that “UAP” is used widely by the media, the public and even some former defense officials to connote extraterrestrials. This tendency still stands in the way of clear-sighted evaluation of the facts. Few of the countless articles written on the topic have tackled the details of the defense and intelligence issues — despite the report being jointly prepared by the Director of National Intelligence and the Department of Defense for the Senate Select Committee on Intelligence — the focus has largely alluded to aliens, instead.
UAP, as the UAPTF points out, are likely many things. They do not have a single explanation, something we have stressed heavily in the past. One thing is sure: these incidents are a test of our collective maturity and intelligence. It is easy to lapse into facile debate and speculation about aliens. While we debate, warships and nuclear reactors receive unwelcome visits from unidentified aircraft, and pilots continue to have harrowing encounters with them.
Our three unanswered questions remain pressing: what happened? What is being done? Are we better prepared if it happens again? While the preliminary report does not fully address these questions, it offers some hope that lawmakers may begin asking them more forcefully.
Contact the author: adam@thewarzone.com